File:
Diffraction record for AcTbHo4S8. The X-ray diffraction stick pattern is calculated, not measured: it uses DFT lattice parameters and positions (PBE) and Cu Ka.
Lines closer than 0.1° are merged.

Structural model:
```
14
Lattice="4.0689 2.3492 6.6679 -4.0689 2.3492 6.6679 0.0000 -4.6984 6.6679" Properties=species:S:1:pos:R:3 pbc="T T T"
Ac 0.0000 0.0000 0.0000
Tb 0.0000 0.0000 12.4630
Ho -1.9986 -1.1539 9.1922
Ho 0.0000 0.0000 5.0161
Ho 1.9986 -1.1539 9.1922
Ho 0.0000 2.3077 9.1922
S 0.0000 -2.2467 10.7821
S -1.9457 1.1234 10.7821
S 0.0000 0.0000 7.6411
S -1.7888 -1.0328 14.2974
S 1.9457 1.1233 10.7821
S 0.0000 0.0000 17.1935
S 1.7888 -1.0328 14.2974
S 0.0000 2.0655 14.2974
```

Most intense lines, 15 to 90 degrees two-theta, by angle:
| two_theta | I/Imax |
| --- | --- |
| 21.82 | 33 |
| 25.64 | 100 |
| 26.80 | 13 |
| 31.05 | 12 |
| 40.64 | 12 |
| 40.71 | 33 |
| 44.43 | 27 |
| 44.54 | 27 |
| 61.89 | 19 |
| 81.99 | 13 |

* * * * *

Structure and computed X-ray powder pattern of Pa3Br (a structure optimized by DFT (PBE); CuKα).

Most intense lines, 10 to 90 degrees two-theta, by angle:
2θ/deg	I/Imax
19.70	34
21.96	105
34.35	1000
39.80	337
40.02	166
45.92	33
57.55	117
57.72	232
68.77	277
69.08	137
72.40	120
85.81	40

Structure:
Cell: 5.528 5.528 5.528 Å, 131.63 131.63 70.82°
Fractional coordinates of all 4 atoms:
Pa (0.000, 0.000, 0.000)
Pa (0.250, 0.750, 0.500)
Pa (0.750, 0.250, 0.500)
Br (0.500, 0.500, 0.000)

=====

Structure and computed X-ray powder pattern of PmPaBr (a structure optimized by DFT (PBE); CuKα).

Most intense lines, 10 to 90 degrees two-theta, by angle:
2θ/deg	I/Imax
18.56	1000
26.92	346
27.35	368
29.88	662
32.62	731
34.71	789
34.89	461
38.11	642
44.90	201
46.59	392
62.47	257
64.96	206

Structure:
Cell: 3.368 5.143 12.986 Å, 90.00 90.00 90.00°
Fractional coordinates of all 6 atoms:
Pm (0.250, 0.250, 0.059)
Pm (0.750, 0.750, 0.941)
Pa (0.250, 0.750, 0.200)
Pa (0.750, 0.250, 0.800)
Br (0.250, 0.250, 0.621)
Br (0.750, 0.750, 0.379)

=====

Structure and computed X-ray powder pattern of RbPaBr6 (a structure optimized by DFT (PBE); CuKα).

Most intense lines, 10 to 90 degrees two-theta, by angle:
2θ/deg	I/Imax
12.58	244
13.93	1000
15.72	595
21.48	859
28.07	666
34.28	564
34.55	643
36.65	277
39.64	365
47.23	389
48.46	247
51.24	257

Structure:
Cell: 8.320 8.320 8.320 Å, 55.11 55.11 55.11°
Fractional coordinates of all 8 atoms:
Rb (0.000, 0.000, 0.000)
Pa (0.500, 0.500, 0.500)
Br (0.093, 0.591, 0.591)
Br (0.409, 0.409, 0.907)
Br (0.409, 0.907, 0.409)
Br (0.591, 0.093, 0.591)
Br (0.591, 0.591, 0.093)
Br (0.907, 0.409, 0.409)

=====

Structure and computed X-ray powder pattern of PaS5Br (a structure optimized by DFT (PBE); CuKα).

Most intense lines, 10 to 90 degrees two-theta, by angle:
2θ/deg	I/Imax
14.48	194
14.59	1000
15.18	811
15.31	498
16.71	475
19.78	167
20.50	213
22.36	188
30.64	197
34.46	181
34.83	187
36.13	184

Structure:
Cell: 7.155 7.975 9.346 Å, 86.47 70.25 64.77°
Fractional coordinates of all 14 atoms:
Pa (0.095, 0.233, 0.248)
Pa (0.905, 0.767, 0.752)
S (0.013, 0.721, 0.058)
S (0.180, 0.803, 0.860)
S (0.239, 0.474, 0.097)
S (0.265, 0.958, 0.381)
S (0.272, 0.798, 0.560)
S (0.728, 0.202, 0.440)
S (0.735, 0.042, 0.619)
S (0.761, 0.526, 0.903)
S (0.820, 0.197, 0.140)
S (0.987, 0.279, 0.942)
Br (0.000, 0.500, 0.500)
Br (0.500, 0.000, 0.000)

=====

Structure and computed X-ray powder pattern of Pa6S12Br (a structure optimized by DFT (PBE); CuKα).

Most intense lines, 10 to 90 degrees two-theta, by angle:
2θ/deg	I/Imax
13.94	254
23.16	1000
24.02	744
27.88	457
28.10	413
36.37	418
36.73	632
39.51	257
42.05	399
44.99	336
51.35	382
59.30	278

Structure:
Cell: 8.060 8.060 8.060 Å, 104.01 104.01 104.01°
Fractional coordinates of all 19 atoms:
Pa (0.249, 0.249, 0.662)
Pa (0.249, 0.662, 0.249)
Pa (0.338, 0.751, 0.751)
Pa (0.662, 0.249, 0.249)
Pa (0.751, 0.338, 0.751)
Pa (0.751, 0.751, 0.338)
S (0.129, 0.500, 0.871)
S (0.129, 0.871, 0.500)
S (0.187, 0.451, 0.451)
S (0.451, 0.187, 0.451)
S (0.451, 0.451, 0.187)

Activity:
Count the lines above that contain the word "Lines" and give the number alone.

Written answer:
1